Request.
Next, filter the contents below: keep the lines with the word "SMILES".
Entries.
'''
Below is 2 unconnected molecules or ions with the total composition CH3O4 at a distorted geometry, with properties calculated with ωB97M-V with the def2-TZVPD basis set.

Computed properties:
- HOMO energy (spin up / spin down): -16.74 / -16.74 eV

The geometry in ORCA input format:
```
! wB97M-V def2-TZVPD RIJCOSX def2/J DEFGRID3
* xyz 1 1
C -0.6376 0.0668 0.4316
O -0.7284 1.9242 -3.5370
O 0.3050 0.7991 0.2811
O -0.3304 0.2654 -2.3445
O -0.8159 0.7185 -3.3530
H -0.7993 -0.7594 -0.3543
H -1.1423 0.2271 1.5059
H 0.9423 0.8289 -0.5510
*
```

---

Below is a gas-phase ion, CH3O4S (charge -1) at a distorted geometry, with properties calculated with ωB97M-V with the def2-TZVPD basis set.

Computed properties:
- HOMO energy: -4.29 eV
- SMILES string: C=[S@](=O)([O-])OO

The geometry in ORCA input format:
```
! wB97M-V def2-TZVPD RIJCOSX def2/J DEFGRID3
* xyz -1 1
C -1.1616 0.5513 -0.0005
S 0.4876 0.8035 -0.0398
O 0.8921 2.0915 0.4937
O 0.8496 0.5190 -1.4026
O 1.7800 -0.4428 0.8113
O 2.8945 -0.4559 -0.0823
H -1.1529 -0.3988 -0.5741
H -1.6871 0.4705 0.9421
H 2.3234 -0.0083 -0.9115
*
```

---

Below is 2 unconnected molecules or ions with the total composition CH3OS at a distorted geometry, with properties calculated with ωB97M-V with the def2-TZVPD basis set.

Computed properties:
- HOMO energy: -2.75 eV

The geometry in ORCA input format:
```
! wB97M-V def2-TZVPD RIJCOSX def2/J DEFGRID3
* xyz -1 1
S -1.9331 -0.4542 -0.1416
H -2.5999 0.7104 -0.2437
O 2.3075 -0.2130 0.2238
C 1.1088 -0.0518 0.1123
H 0.7235 0.5985 -0.6911
H 0.3932 -0.5899 0.7402
*
```

---

Below is 2 unconnected molecules or ions with the total composition CH3OS, with properties calculated with ωB97M-V with the def2-TZVPD basis set.

Computed properties:
- HOMO energy: -2.75 eV

The geometry in ORCA input format:
```
! wB97M-V def2-TZVPD RIJCOSX def2/J DEFGRID3
* xyz -1 1
S -2.1556 -1.1981 -0.0470
H -0.9630 -1.6036 0.3866
O 1.9041 1.0726 -0.3876
C 0.7855 0.7312 -0.0877
H 0.6209 -0.0672 0.6150
H -0.1919 1.0650 -0.4793
*
```

---

Below is 2 unconnected molecules or ions with the total composition CH3P3 at a distorted geometry, with properties calculated with ωB97M-V with the def2-TZVPD basis set.

Computed properties:
- HOMO energy (spin up / spin down): -8.29 / -8.39 eV
- SMILES string: P#[PH2].C#P

The geometry in ORCA input format:
```
! wB97M-V def2-TZVPD RIJCOSX def2/J DEFGRID3
* xyz 0 1
P 0.2548 -2.0730 1.2854
P 1.8579 -0.8087 0.9686
H 2.4401 -0.3825 -0.2505
H 1.3271 0.5206 1.0578
C -2.0888 0.8748 -1.2050
P -0.6434 0.9452 -0.6689
H -3.1476 0.9236 -1.1874
*
```

---

Below is a single CH4BBr molecule at a distorted geometry, with properties calculated with ωB97M-V with the def2-TZVPD basis set.

Computed properties:
- HOMO energy: -10.70 eV

The geometry in ORCA input format:
```
! wB97M-V def2-TZVPD RIJCOSX def2/J DEFGRID3
* xyz 0 1
B -0.3150 0.3190 -0.6544
C 0.3727 -0.1533 0.5391
Br 1.8231 0.9892 -0.1049
H -1.0700 1.1408 -0.3699
H 0.8232 -1.1623 0.5618
H 0.1323 0.2576 1.4752
H -0.3269 -0.0125 -1.7848
*
```

---

Below is 2 unconnected molecules or ions with the total composition CH4BBrO2 at a distorted geometry, with properties calculated with ωB97M-V with the def2-TZVPD basis set.

Computed properties:
- HOMO energy (spin up / spin down): -8.70 / -8.76 eV

The geometry in ORCA input format:
```
! wB97M-V def2-TZVPD RIJCOSX def2/J DEFGRID3
* xyz 0 1
B 0.2259 -0.1156 -0.1574
C -0.7080 -1.2882 0.0289
O 0.7695 0.1406 -1.4287
O 0.7005 0.3333 1.0711
Br -1.7116 2.3320 0.7108
H -0.9464 -1.7406 -0.9243
H -1.0507 -1.6007 0.9973
H 1.4620 0.7451 -1.3446
H 1.2588 1.1941 1.0468
*
```

---

Below is a single CH4BClS molecule at a distorted geometry, with properties calculated with ωB97M-V with the def2-TZVPD basis set.

Computed properties:
- HOMO energy: -9.97 eV
- SMILES string: CBSCl

The geometry in ORCA input format:
```
! wB97M-V def2-TZVPD RIJCOSX def2/J DEFGRID3
* xyz 0 1
C -0.0138 0.3974 0.1296
B -1.0720 -0.8496 0.0406
S -2.8909 -1.0725 0.0828
'''
Completed.
- SMILES string: C=[S@](=O)([O-])OO
- SMILES string: P#[PH2].C#P
- SMILES string: CBSCl